View Thread : The continuation of FFVII revealed!! ... but it's not what we were hoping for

From Games Are Fun: (

Posted by Christian Kontul at 07:26:35 AM on 09.25.2003.

Square Enix announced today that existence of Final Fantasy VII: Advent Children an computer-generated animated feature which will debut on DVD sometime in 2004.

Final Fantasy VII: Advent Children follows Cloud two years after the events depicted in the 1997 PSone RPG, as he tries to save what has become a peaceful world from oncoming darkness.

The screens below show Cloud's new CG model, as well as one for Sephiroth. It may be disappointing for some fans to learn that this won't be a game, but, alas, some could argue that Square is just skipping to all the good parts. ;)

We'll have more soon.

Ah hell.

Go to GAF for the first pictures from the movie.


Isn't Sepiroth supposed to be dead? I forgot.

Great Rumbler
It may not be a game, but it looks pretty cool.

Dark Jaguar
Yeah, it's interesting.

I wonder if that's actually Sephiroth...

_Crystal structures that have nothing to do with the article_
Computed, not measured: crystalline LiBeCrO4 at its relaxed geometry at the GGA+U level of DFT.

The calculation puts the electronic total energy at -6.565 eV/atom.

Cell lengths 4.5927, 4.5927, 7.5473 Å; angles 90.00, 90.00, 90.00 degrees
With the nearest neighbours (Å) after each atom.
Sites, in units of the cell vectors:
Li: 0.0000 0.0000 0.0000  4 O 2.05
Li: 0.5000 0.5000 0.5000  4 O 2.05
Be: 0.0000 0.5000 0.7500  4 O 1.64
Be: 0.5000 0.0000 0.2500  4 O 1.64
Cr: 0.0000 0.0000 0.5000  4 O 1.73
Cr: 0.5000 0.5000 0.0000  4 O 1.73
O: 0.1707 0.2715 0.6202  1 Be 1.64, 1 Cr 1.73
O: 0.2285 0.6707 0.8798  1 Be 1.64, 1 Cr 1.73
O: 0.2715 0.8293 0.3798  1 Be 1.64, 1 Cr 1.73
O: 0.3293 0.2285 0.1202  1 Be 1.64, 1 Cr 1.73
O: 0.6707 0.7715 0.1202  1 Be 1.64, 1 Cr 1.73
O: 0.7285 0.1707 0.3798  1 Be 1.64, 1 Cr 1.73
O: 0.7715 0.3293 0.8798  1 Be 1.64, 1 Cr 1.73
O: 0.8293 0.7285 0.6202  1 Be 1.64, 1 Cr 1.73

Private Hudson
I don't see how it's possibly Sephiroth.

Actually, it could be Sephiroth. Let's assume for a minute that Cloud didn't actually kill Sephiroth, just.. really really hurt him. Now, Holy was to supposedly wipe out all the 'bad' in the world.

Now, as we all know, Sephiroth was a very good bloke before the incident in Nibelheim, at which point he was under the control of Jenova.

So perhaps he was spared, along with most of humanity. Or perhaps he was resurrected, ala Aeris (he was an Ancient, so.. perhaps..).

Or perhaps it's just another clone..

Ah, who cares. The movie is to be suckage. Cash whores.

Dark Jaguar
Pardon? Sephiroth wasn't misunderstood my friend. He was an egotistical maniac and he went berserk of his own free will just because he found out he was a scientific experiment. Sheesh, some people would LOVE to have that sort of past! And, Aeris wasn't revived. That was just her image in the life stream.

Private Hudson
Originally posted by Dark Jaguar
Pardon? Sephiroth wasn't misunderstood my friend. He was an egotistical maniac and he went berserk of his own free will just because he found out he was a scientific experiment. Sheesh, some people would LOVE to have that sort of past! And, Aeris wasn't revived. That was just her image in the life stream.

Well, I believe otherwise. Sephiroth was under the control of Jenova, and Aeris was revived.


Great Rumbler
Hahaha! :D

This movie looks pretty cool though. Are the making it just so they can get money? Of course! But if you knew it would generate tons of money wouldn't you make it?

And at least it's based off of an actual FF game, unlike the crappy Spirits Within movie.

Dark Jaguar
Yeah, Spirits Within only managed to impress visually (meaning my mom would have loved it, I'm rather surprised how many of those stupid iMAX demo "movies" she went to before they started putting REAL movies in there). It just had nothing that made it FF at all. This'll be the 3rd Final Fantasy movie made, and the 2nd decent one it seems. One day I plan on actually getting that first FF movie, the one that takes place a century after FF5 (it was anime).

Wow, that's barely a paragraph at all. Anyway, Spirits Within... Imagine FF, but take out the totally original world, magic, incredibly deep story and deep characters, and anything else you can think of, and then add a cheesy action movie storyline and a pathetic badly designed "villian", oh and toss in Gaia just to kinda pretend it's Final Fantasy-ish, and you have that movie.

I certainly think this'll be better since it's not going to be written by some Japanese guy who thinks US action movies are deeper than they really are or whatever he was thinking.

alien space marine
English writers are better!

Dark Jaguar
Eh, you don't even speak english :D.

alien space marine
Your point is.

I hope this movie is good unlike spirits within.